Kill God

Chapter 20 Extreme Training

Stars are dotted on the night. A crescent moon is clear and cool, and the moonlight passes through the thick leaves and shines in the quiet forest.

Di Yalan and Hu Long patrolled outside. Zhao Xin leaned on the tree trunk, had an even nose, and closed his eyes to rest.

Luo Hao narrowed his eyes slightly next to another ancient tree, and it seemed that he had never cancelled his vigilance against his surroundings.

Among the dense leaves on the ancient tree he relied on, Mu Yudie slept quietly and galloped for a day. She couldn't stand it.

Luo Hao looked up from time to time and glanced at the Mu Yu butterfly in the leaves, showing the love that was difficult to see in his eyes.

"Step on!"

Luo Hao twisted his eyebrows, looked at the stone rock coming slowly, and asked in surprise, "Haven't you rested yet?"

"Hmm." Shi Yan nodded and answered in a low voice. He stood beside Luo Hao and asked softly, "Isn't it easy for the other party to find us in this area?"

"It's really not easy." Luo Hao smiled and said, "There is no fixed line here, monsters often appear, and the warriors are also active everywhere. It is difficult for people to judge which traces we will leave behind. Here, in fact, we should pay more attention to monsters and those adventurous warriors.

"That is to say, the other party will not come to us so easily." Shi Yan thought for a moment and asked, "Uncle Luo, do you need to spend too much essence to release your gravitational field?"

"Why do you ask this?" Luo Hao was stunned.

"I want to sharpen my body with the help of your gravitational field. Under the gravitational field, I have to bear great pressure, which can enhance my physical strength. I want to see how big my limit is. Shi Yan is serious. He is not willing to be plain in his bones. He feels that the painstaking practice is boring. He wants to find some excitement and leaks.

"Relying on the gravity field to hone yourself..." Luo Hao's eyes lit up and nodded, "The method is good, but are you sure you want to try? If the enemy suddenly comes up when you are out of strength, don't you have the power to fight back?

"I'm not going to use Jingyuan." Shi Yan smiled.

"Pure body training?" Luo Hao was stunned.


Luo Hao frowned deeply and said with half a sound: "You have just broken through the innate realm. At this time, you are slowly familiar with the body. It is indeed not wrong to properly refine the body, but you have never strengthened the body. You have used the gravity field to practice at the beginning, and you do not plan to use the essence. This ...Can you resist it?"

"I want to try it." Shi Yan said indifferently.

"Good! Come with me." Luo Hao nodded and walked quietly into the distance. Shi Yan followed silently.

After the two left lightly, Mu Yudie in the dense branches and leaves of the ancient tree slowly opened his eyes.

Looking silently at the two people by the river in the distance, Mu Yudie's beautiful eyes were surprised and puzzled, and he muttered, "I just broke through the innate realm, and I dare to practice through the gravitational field. Is this guy crazy?"

The more Mu Yudie thought about it, the more strange she felt. She couldn't sleep. She was curious. She slid down from the ancient tree deftly and quietly dived towards Shiyan and Luo Hao, trying to sneak a look at the situation there.


"I will use five times the gravity field first. Generally, the martial arts in the acquired realm can only bear five times the gravity field after special refining of the body. You have to do what you can, feel that the body can't stand it, and immediately stop the high-intensity movement."

After Luo Hao stood still, he said, "Your first attempt, you can run around me at the beginning. Without using the essence, you can run ten laps, even if you are used to it. Remember, do what you can!"

Luo Hao's words suddenly burst into a violent fluctuation and suddenly burst out of his body.

In an instant, with Luo Hao as the center, the gravity soared fivefold! The space next to him seemed to collapse, the air suddenly sank, and the pressured people were almost out of breath.

Between two parts of the entry: crystal structures:
........
Entry 1:
Computed, not measured: crystalline CuAg2AuCl6 at its relaxed geometry at the PBE level of DFT.

a = 7.6316 Å, b = 6.6937 Å, c = 7.2354 Å
α = 61.29°, β = 63.27°, γ = 54.09°
Closest atoms and distances in Å follow each position.
Sites, in units of the cell vectors:
Cu  0.2859  0.3277  0.0130  2 Cl 2.18-2.22
Ag  0.9737  0.0464  0.9157  4 Cl 2.58-2.71
Ag  0.5721  0.5739  0.4124  3 Cl 2.55-2.80
Cl  0.6534  0.1917  0.2650  1 Au 2.38
Cl  0.2729  0.9665  0.2117  1 Cu 2.18
Cl  0.3533  0.6616  0.8187  1 Cu 2.22
Cl  0.9679  0.5493  0.3173  1 Au 2.39, 1 Cu 2.65
Cl  0.7035  0.0840  0.7426  1 Au 2.39
Cl  0.0382  0.4459  0.7890  1 Au 2.37, 1 Cu 2.57, 1 Ag 2.65
Au  0.8407  0.8146  0.5298  4 Cl 2.37-2.39

Properties
As for the raw total energy: -2.8032 eV per atom. For the uncorrected formation energy, the calculation gives -388 meV/atom. The value obtained for the calculated volume is 255.12 Å³ per cell. The calculation puts the mass density at 4.484 g/cm3.

***

Entry 2:
Computed, not measured: crystalline PPbAu2 at its relaxed geometry at the PBE level of DFT.

a = 3.1023 Å, b = 3.5663 Å, c = 7.4182 Å
α = 90.00°, β = 90.00°, γ = 90.00°
Closest atoms and distances in Å follow each position.
Sites, in units of the cell vectors:
Pb  0.5000  0.5000  0.7500  2 Pb 3.10, 8 Au 3.24
Au  0.0000  0.0000  0.4515  4 P 2.80, 3 Au 2.99-3.10
Au  0.0000  0.0000  0.0485  4 P 2.80, 3 Au 2.99-3.10
P  0.5000  0.5000  0.2500  8 Au 2.80, 2 P 3.10

Properties
The calculation puts the energy above the most stable polymorph in this dataset at 253 meV per atom. The value obtained for the formation energy is 0.2563 eV per atom. As for the raw total energy: -3.6619 eV per atom. Its density of states at the Fermi level is 0.465 states/eV/atom. The value obtained for the calculated volume is 82.07 Å³ per cell. The calculation puts the mass density at 12.789 g/cm3.

***

Entry 3:
Computed, not measured: crystalline Cr2ReSb at its relaxed geometry at the PBE level of DFT.

a = 5.0991 Å, b = 5.0991 Å, c = 5.0991 Å
α = 143.78°, β = 131.65°, γ = 61.88°
Closest atoms and distances in Å follow each position.
Sites, in units of the cell vectors:
Sb  0.2452  0.7452  0.5000  6 Cr 2.62-2.69, 2 Re 2.77
Re  0.5042  0.5042  0.0000  6 Cr 2.62-2.70, 2 Sb 2.77
Cr  0.9968  0.9968  0.0000  4 Re 2.62, 2 Cr 2.65, 2 Sb 2.69
Cr  0.7538  0.2538  0.5000  4 Sb 2.62, 2 Cr 2.65, 2 Re 2.70

Properties
As for the raw total energy: -8.5971 eV per atom. For the uncorrected formation energy, the calculation gives 357 meV/atom. Its density of states at the Fermi level is 0.920 states/eV/atom. The value obtained for the calculated volume is 57.91 Å³ per cell. The calculation puts the mass density at 11.813 g/cm3.

***

Entry 4:
Computed, not measured: crystalline PmAg2As2O6 at its relaxed geometry at the PBE level of DFT.

a = 6.0418 Å, b = 5.5993 Å, c = 6.9381 Å
α = 115.69°, β = 90.00°, γ = 122.65°
Closest atoms and distances in Å follow each position.
Sites, in units of the cell vectors:
........

An invisible pressure suddenly enveloped the whole body!

Shiyan felt that every cell in his whole body seemed to be filled with sand and gravel, and his body suddenly sank, like carrying hundreds of pounds of weight. The muscles and bones in his knees suddenly tightened, the frequency of heart beating surged, and the muscles suddenly tightened under gravity.

The invisible pressure of the five-fold gravitational field forced his body to consciously adjust, but standing still, he felt that breathing had become much more difficult.

It's really awesome!

Shi Yan's heart jumped and felt the overwhelming pressure of the five-fold gravity field. In this kind of combat environment, once anyone enters Luo Hao's gravity field, he will inevitably be immediately affected by the gravity field. His usual strength will never be played by ten, and he will definitely be controlled by Luo Hao everywhere in the battle.

This is still five times the gravity. If it is ten times the gravity, how terrible would it be?

Shi Yan realized the horror of this "martial soul", took a deep breath and drove the messy thoughts out of his mind. He suddenly roared and suddenly ran around Luo Hao.

As soon as the body moved, the pressure of the gravity field surged. The stone rock's feet seemed to be filled with countless pieces of lead, which weighed more than a thousand catties. The simplest running in daily life seemed to have become the most terrible suffering.

Under the influence of the five-fold gravity field, his body could not fly out of the ground at all, as if his body was abruptly pressed by a giant's iron hand, and he could not breathe.

After a circle, the speed of Shiyan's running speed was doubled.

After three laps, the speed of the rock running was doubled again.

Five laps down, Shi Yan is not running, but already walking slowly...

On the sixth lap, Shiyan's face turned red, and the blue veins on his arm, which came out, trembled gently like a little snake, as if it was about to crack out of the skin and jump out.

In the seventh lap, the stone rock was like a beast, and its eyes were red and almost eager to breathe fire, which was a sign of hypoxia.

At the eighth circle, Shi Yan staggered, and every step seemed to exert his strength. Every step fell, and his body trembled gently.

At this time, Luo Hao finally couldn't stand it anymore and shouted, "This is your first time to practice the gravity field. Don't work so hard. This is your limit! That's enough! Stop it! Go on, you may be exhausted!"

Shi Yan looked up, his eyes were red like blood, and his voice was hoarse, "Ha ha, this is just interesting. Let's continue!"

Luo Hao was stunned, and there was only one thought in his mind: This boy is crazy!

In the bushes not far away, Mu Yudie covered her little mouth and looked shocked, as if she knew Shiyan for the first time.

Shi Yan did not continue to talk with Luo Hao. After another low roar like an injured beast, he continued to walk firmly, bent down, and walked around again with blue veins on his face.

In the last lap, Shi Yan's body swayed. After each step, he would tremble, as if he would fall at any time, as if he would die the next moment!

In this case, he walked around again step by step. After the circle was completed, a strange satisfied smile appeared at the corners of Shi Yan's mouth.

Luo Hao woke up from a stunned state. Seeing that Shi Yan had not yet fallen down, he was finally relieved and was ready to withdraw the gravity field first, and then talk to Shi Yan.

Mu Yudie pressed her mouth tightly, and her beautiful eyes were full of disbelief. It seemed that she had never thought that the stone rock, which was only acquired, could really complete this extreme challenge.

"Let's do it again." Shi Yan suddenly shouted in a low voice..

"What?" Luo Hao's body was shocked, and his eyes were as sharp as a knife. He shouted, "Enough! Don't mess around!"

Before Luo Hao could remove the gravity field, Shi Yan actually walked up again. On this trip, he shook his body in three steps, and when he was halfway through, he finally fell to the ground.

Luo Hao just wanted to scream, but suddenly found that Shi Yan was using both hands and feet. The monster crawled and continued to move forward, as if he was looking for death.

It took half an hour for the rock to squirm slowly to the end like a snail.

Mu Yudie in the grass looked at him in a daze, and his mind was blank.
